(Material)
=====
[1]
DFT (PBE-GGA) results for Mg14ZrB after structural relaxation.

Results
space group	No. 38
E_form	2.627	eV per formula unit
offset from the most stable computed form	0.0	meV per atom
crystal system	orthorhombic
calculated total energy	-2.1878	eV/atom

Structure (POSCAR):
```
Mg14ZrB
1.0
-5.374 -3.368 0.161
4.374 -0.175 4.592
-4.637 7.624 4.707
Zr B Mg
1 1 14
Direct
0.816 0.184 0.500
0.357 0.643 0.500
0.325 0.164 0.000
0.323 0.201 0.500
0.329 0.671 0.000
0.668 0.832 0.743
0.833 0.167 0.000
0.799 0.677 0.500
0.668 0.832 0.257
0.669 0.331 0.247
0.836 0.675 0.000
0.168 0.332 0.257
0.185 0.815 0.716
0.669 0.331 0.753
0.185 0.815 0.284
0.168 0.332 0.743
```

---

[2]
DFT (PBE-GGA) results for Nb3SiO10 after structural relaxation.

Results
space group	No. 1
E_form	-39.399	eV per formula unit
crystal system	triclinic
largest piezoelectric modulus	2.01	C/m²
calculated total energy	-8.4098	eV/atom

Structure (POSCAR):
```
Nb3SiO10
1.0
-3.985 2.713 -0.075
-2.850 -4.244 1.837
3.824 1.638 5.405
Nb O Si
3 10 1
Direct
0.347 0.760 0.248
0.901 0.274 0.291
0.598 0.231 0.731
0.129 0.642 0.427
0.100 0.751 0.967
0.778 0.874 0.612
0.910 0.271 0.012
0.677 0.968 0.234
0.419 0.526 0.775
0.535 0.467 0.214
0.286 0.129 0.410
0.875 0.408 0.604
0.338 0.990 0.771
0.107 0.708 0.702
```

----------

Record 1
Density functional theory data (PBE+U) for an optimized crystal structure of NaCoO2.

Values from the calculation:
**Spin magnetization**: 0.00 μB/f.u.
**ΔE_f**: -1.456 eV per atom

Cell lengths 3.0097, 3.0097, 5.5083 Å; angles 90.00, 90.00, 120.00 degrees
Space group P-3m1 (No. 164)
Inequivalent atoms, fractional coordinates:
Na  0.0000  0.0000  0.0000 x1
Co  0.0000  0.0000  0.5000 x1
O  0.3333  0.6667  0.6975 x2

---

Record 2
Density functional theory data (PBE+U) for an optimized crystal structure of Li7Mn5O12.

Values from the calculation:
**Spin magnetization**: 18.00 μB/f.u.
**ΔE_f**: -2.137 eV per atom

Cell lengths 6.004, 7.791, 10.236 Å; angles 106.48, 92.48, 103.92 degrees
Space group P-1 (No. 2)
Inequivalent atoms, fractional coordinates:
Li  0.000  0.000  0.000 x1
Li  0.085  0.337  0.259 x2
Li  0.161  0.669  0.503 x2
Li  0.253  0.005  0.251 x2
Li  0.262  0.984  0.734 x2
Li  0.336  0.330  0.999 x2
Li  0.403  0.688  0.264 x2
Li  0.500  0.000  0.500 x1
Mn  0.000  0.000  0.500 x1
Mn  0.080  0.330  0.749 x2
Mn  0.162  0.671  0.005 x2
Mn  0.341  0.327  0.495 x2
Mn  0.414  0.672  0.751 x2
Mn  0.500  0.000  0.000 x1
O  0.020  0.192  0.881 x2
O  0.055  0.166  0.387 x2
O  0.123  0.498  0.110 x2
O  0.131  0.499  0.638 x2
O  0.174  0.843  0.383 x2
O  0.207  0.841  0.895 x2
O  0.284  0.158  0.614 x2
O  0.332  0.157  0.117 x2
O  0.339  0.518  0.879 x2
O  0.386  0.504  0.382 x2
O  0.446  0.829  0.111 x2
O  0.451  0.822  0.632 x2

---

Record 3
Density functional theory data (PBE+U) for an optimized crystal structure of MgSc2Mn4O10.

Values from the calculation:
**Spin magnetization**: 16.00 μB/f.u.
**ΔE_f**: -2.566 eV per atom

Cell lengths 10.166, 4.017, 10.134 Å; angles 90.00, 92.43, 90.00 degrees
Space group C2/m (No. 12)
Inequivalent atoms, fractional coordinates:
Mg  0.000  0.000  0.000 x2
Sc  0.192  0.500  0.259 x4
Mn  0.139  0.500  0.552 x4
Mn  0.155  0.500  0.917 x4
O  0.041  0.500  0.385 x4
O  0.062  0.500  0.104 x4
O  0.171  0.000  0.918 x4
O  0.194  0.000  0.551 x4
O  0.236  0.500  0.735 x4

---

Record 4
Density functional theory data (PBE+U) for an optimized crystal structure of NbTlV2O8.

Values from the calculation:
**Spin magnetization**: 0.00 μB/f.u.
**ΔE_f**: -2.423 eV per atom

Cell lengths 15.244, 5.696, 8.876 Å; angles 90.00, 90.00, 90.00 degrees
Space group Pnma (No. 62)
Inequivalent atoms, fractional coordinates:
Nb  0.120  0.250  0.187 x4
Tl  0.121  0.750  0.565 x4
V  0.028  0.250  0.796 x4
V  0.215  0.750  0.990 x4
O  0.038  0.000  0.255 x8
O  0.058  0.250  0.986 x4
O  0.116  0.250  0.687 x4
O  0.134  0.750  0.868 x4
O  0.185  0.250  0.380 x4
O  0.204  0.007  0.102 x8

---

> spin magnetization of number 3 (MgSc2Mn4O10)?
=====
(Work order)
It remains to write out only the lines further up with the word "Tl" in them.
(Outcome)
Tl  0.121  0.750  0.565 x4